How can I catch the tail end of a TV program that the Captain was watching, and end up in tears because one of the characters died. Grant you, it was ER, but I haven't seen that show for years. What is up with me.
I had this open, hoping to at least start a post. I've been thinking that I might try posting this way. I don't always have a lot to post, but if I start, save, then do a bit more till I feel I am finished, then publish....I'll see how that works. It's worth a try.
Another day - We went to a community picnic last evening, an annual event. People from two small communities get together to eat, laugh and catch up on news. The communities have changed a lot over the years, and now there are a lot of little ones. They had special games for the kids, including a pinata. They had a great time swinging at it, and of course gathering up the fallen candy. What I really enjoyed was the opportunity to play my uke with three other gals, one on a mandolin, and two with guitars. We had a fun time. It was a new experience for me, playing with others. We played a lot of old songs, some I didn't even know, but just followed along. We played before folks ate, and then for a while after. I was having such a good time I didn't realize how sore my left hand and arm were getting. I finally had to stop, though I hated to. Today, my hand and arm are a little sore, but it was well worth it. Such a great time.
Desire to do something different hits me every once in a while. I was going through my cupboard, and saw my clay supplies. One package had not been closed tightly, and was drying out a bit, and not very malleable. Mmmmmmm, waste not, want not. I tried to soften it a bit with water, but it really wasn't workable enough, so I formed some different shapes and then began scraping, which is something else I do to lose myself in.
The sticks are not clay, but carved Popsicle sticks. (Don't ask)
It is now 3 days after my uke playing, and my arm and hand are still hurting. It can't all be from that evening of fun, but I don't know. I have been helping Dawn out in the raspberries, not doing too much, just tending the UPick. I'm not helping today, so I thought I would finish this up and post it. Looking back, it is a real mix of things. I took some pictures in the field, and also the almost finished result of the 'scratching.
The rows of berries
Even though it is 3 weeks into the picking there are still lots of berries
They are tasty
A berry pickers best Blue and Yellow friend
close up of sunflower, including earwig in petal
These records of molecules were left in the text by mistake
+++
Computed, not measured: a 10-piece molecular cluster, C35H75NO25 overall, with ωB97M-V/def2-TZVPD.

Kohn-Sham gap = 7.417 eV
Relative energy (zero: lowest compared OMol25 entry of this formula, charge and spin) = 49.8 kcal/mol
Energy = -90185.5909 eV
Molecular weight = 910.0 g/mol

Positions of all 136 atoms, in Å:
N 2.35 -2.03 0.98
H 1.63 -1.33 0.83
H 3.25 -1.59 0.87
H 2.29 -2.79 0.32
H 2.34 -2.31 1.94
C 0.01 1.54 2.33
C -0.52 0.83 1.05
C -0.79 1.84 -0.05
O 0.34 -0.27 0.65
H -0.05 0.83 3.15
H -0.60 2.41 2.57
H 1.04 1.89 2.20
H -1.54 0.56 1.31
H -1.59 2.52 0.26
H -1.11 1.36 -0.97
H 0.07 2.47 -0.26
C 7.68 -1.88 -2.56
C 6.89 -1.38 -1.30
O 5.87 -0.58 -1.85
C 4.77 -0.22 -1.23
O 4.49 -0.64 -0.03
O 4.01 0.57 -2.08
C 2.69 0.83 -1.54
H 7.20 -2.77 -2.96
H 8.66 -2.34 -2.38
H 7.75 -1.06 -3.28
H 7.47 -0.69 -0.69
H 6.50 -2.18 -0.66
H 2.63 1.24 -0.53
H 2.00 -0.02 -1.46
H 2.23 1.50 -2.26
C 1.20 -0.39 5.95
C 2.15 0.04 4.89
O 3.42 -0.48 5.16
C 3.84 -1.50 4.43
O 3.13 -2.22 3.70
O 5.14 -1.70 4.65
C 5.95 -2.44 3.71
H 1.48 0.01 6.93
H 1.25 -1.47 6.10
H 0.19 0.00 5.83
H 2.20 1.13 4.86
H 1.72 -0.34 3.97
H 7.00 -2.36 4.00
H 5.97 -1.91 2.76
H 5.65 -3.49 3.70
C -1.41 -2.38 3.34
C -0.48 -3.26 4.17
O -0.93 -4.64 4.11
C -0.22 -5.69 4.67
O 0.70 -5.57 5.41
O -0.56 -6.81 4.06
C 0.10 -8.04 4.21
H -1.41 -2.63 2.28
H -1.16 -1.33 3.49
H -2.41 -2.57 3.75
H -0.43 -2.91 5.20
H 0.54 -3.12 3.80
H -0.35 -8.79 3.56
H -0.13 -8.40 5.21
H 1.16 -8.14 3.99
C -0.26 0.97 -3.71
C 0.77 1.27 -4.77
O 0.24 1.15 -6.09
C 1.06 1.17 -7.15
O 2.28 1.18 -7.09
O 0.32 1.34 -8.21
C 0.88 1.30 -9.48
H 0.14 0.86 -2.70
H -0.70 -0.01 -3.90
H -1.17 1.57 -3.72
H 1.58 0.57 -4.54
H 1.28 2.21 -4.59
H 1.33 2.29 -9.57
H 0.17 1.11 -10.29
H 1.65 0.54 -9.56
C -1.28 -3.25 -2.31
C -0.05 -2.48 -2.07
O 0.75 -2.33 -3.20
C 2.11 -2.46 -3.05
O 2.75 -2.58 -1.98
O 2.69 -2.41 -4.30
C 4.08 -2.58 -4.41
H -1.04 -4.27 -2.60
H -1.89 -2.82 -3.10
H -1.91 -3.40 -1.43
H 0.42 -2.76 -1.12
H -0.38 -1.48 -1.79
H 4.34 -3.61 -4.19
H 4.55 -2.04 -3.58
H 4.53 -2.29 -5.36
C -3.89 -0.31 -2.33
C -4.44 -0.06 -3.72
O -5.89 -0.05 -3.47
C -6.74 0.41 -4.38
O -6.48 0.79 -5.53
O -7.97 0.33 -3.86
C -9.09 0.93 -4.42
H -2.81 -0.42 -2.35
H -4.32 -1.25 -1.98
H -4.10 0.50 -1.63
H -4.22 -0.85 -4.43
H -4.05 0.92 -4.00
H -9.89 1.00 -3.69
H -9.52 0.32 -5.22
H -8.91 1.93 -4.83
C -4.94 1.22 1.37
C -4.50 2.53 2.08
O -4.10 2.32 3.40
C -3.83 3.28 4.30
O -4.02 4.48 4.16
O -3.28 2.72 5.44
C -3.05 1.32 5.59
H -4.19 0.44 1.23
H -5.40 1.45 0.40
H -5.74 0.73 1.94
H -5.36 3.19 1.97
H -3.68 2.98 1.51
H -3.79 0.62 5.22
H -3.11 1.06 6.65
H -2.03 1.16 5.23
C -2.79 5.61 0.46
C -2.11 5.59 1.84
O -0.89 6.38 1.88
C 0.15 5.93 1.36
O 0.18 5.08 0.45
O 1.23 6.48 1.93
C 2.46 5.73 1.97
H -2.12 5.00 -0.15
H -2.84 6.63 0.08
H -3.79 5.19 0.44
H -1.99 4.55 2.14
H -2.84 6.07 2.50
H 3.26 6.31 2.44
H 2.68 5.27 1.01
H 2.26 4.87 2.62

----------

1:
DFT (the ωB97M-V functional and the def2-TZVPD basis) results for a 6-piece molecular cluster, C3H18O6 overall.

HOMO	-10.157	eV
total charge	0
+++
clay things, painted, but not varnished
sticks painted up
The varnishing will bring out the colours a bit more
Back to the field, and the rows of sunflowers
The field fairies have built a home in the shade of the sunflower leaves
Picked berries for an order
And....finally I will post this